Colleagues: Recently Tenured
Senior Investigator, Center for Molecular Medicine

Education: University of Heidleberg, Germany (M.D.)
Training: Residency in internal medicine at the Franz Volhard Clinic (Berlin); research fellow at Max Delbrueck Center for Molecular Medicine (Berlin)
Came to NIH: In 1999 as a research fellow in NHLBI; became investigator in 2003
Outside interests: Spending time with his family
Research interests: My primary research interests are in vascular biology and the genetics of vascular remodeling in human diseases. My group developed complex animal models and patient-specific disease models, including induced-pluripotent-stem-cell–based systems, to understand the cellular and molecular mechanisms of vascular remodeling in rare or unknown inherited and acquired vascular diseases. We revealed new signaling pathways pivotal for balanced vascular wound repair, described a new concept of cellular contributions during vascular remodeling, and identified a new inherited vascular disease that causes arterial calcifications in adults. By gaining a more comprehensive knowledge of the cellular contributions and pathways involved in vascular remodeling, we hope to contribute to the development of potential therapeutic applications in regenerative medicine.
Senior Investigator, Laboratory of Molecular Biology

Education: Idaho State University, Pocatello, Idaho (B.S. in microbiology and chemistry; M.S. in chemistry); University of Texas Southwestern Medical Center at Dallas (Ph.D., Immunology)
Training: Postdoctoral fellowship in NIAID’s Vaccine Research Center
Came to NIH: For training in 2004; in 2008 joined the Laboratory of Molecular Microbiology
Selected professional activities: Deputy director, Wellcome Trust NIH Ph.D. Program: Scientific Advisory Committee member of amfAR, the Foundation for AIDS Research
Outside interests: Snowboarding; hiking; fishing
Research interests: We aim with our work to better understand the mechanisms that underlie the progression of human immunodeficiency virus (HIV) disease. The immune system, particularly its T-cell arm, plays a central role in HIV pathogenesis. Our long-term goal is to use the knowledge gained through these studies to develop novel therapeutic approaches. We use multiple nonhuman primate models with differing disease progression courses. We also study T-cell immunology in people infected with HIV and nonhuman primates infected with simian immunodeficiency virus (SIV) to elucidate mechanisms of disease progression. In one of our main areas of research, we are investigating the mechanisms underlying lack of disease progression in natural hosts of SIV. Several species of African nonhuman primates are naturally infected with SIV but do not develop simian AIDS. SIV-infected African green monkeys, for example, are capable of downregulating the CD4 receptor for SIV. We are studying the molecular mechanisms responsible for this downregulation and trying to determine whether other natural hosts for SIV are also able to downregulate CD4.
In a study with Asian macaques, we have shown that one cause of immune activation during the chronic phase of SIV infection is the translocation of microbial products from the lumen of the gastrointestinal tract into peripheral circulation. Moreover, our data suggest that the epithelial barrier of the gastrointestinal tract is damaged during chronic infection and allows microbial products to translocate directly into the lining. In our studies with pigtail macaques, we aim to link the rapid disease progression with increased microbial translocation. We will then study therapeutic interventions aimed at decreasing microbial translocation and disease progression in these animals.
Senior Investigator; Chief, Integrative Neurobiology Unit

~~~
BaLaSc2: optimized geometry, PBE.

Calculated values
Crystal system: cubic
Electronic total energy: -18.3 eV for the cell shown
N(E_F): 1.81 states/eV/atom
Symmetry: Fm-3m
Total magnetization: 0.00 μB/f.u.

Unit cell a=5.758 b=5.758 c=5.758 alpha=60.00 beta=60.00 gamma=60.00
Atoms (fractional coordinates):
1 La 0.500 0.500 0.500
2 Sc 0.250 0.250 0.250
3 Sc 0.750 0.750 0.750
4 Ba 0.000 0.000 0.000

***

BaLaSc2: optimized geometry, PBE.

Calculated values
Crystal system: orthorhombic
Electronic total energy: -17.9 eV for the cell shown
N(E_F): 2.23 states/eV/atom
Symmetry: Pmmm
Total magnetization: 0.04 μB/f.u.

Unit cell a=3.841 b=5.877 c=5.880 alpha=90.00 beta=90.00 gamma=90.00
Atoms (fractional coordinates):
1 Ba 0.500 0.000 0.500
2 La 0.000 0.500 0.500
3 Sc 0.500 0.500 0.000
4 Sc 0.000 0.000 0.000

***

Question: Which value of total magnetization does entry 2 give?
Answer: 0.04 μB/f.u.

***

Question: Among the records above, which one has the lowest N(E_F)?
Answer: number 1

***

Question: Number 2 is which compound?
Answer: BaLaSc2


Compound: Mn2PRu
Source: Alexandria via LeMat-Bulk
Functional: PBEsol
Structure: relaxed

abc: 3.9890 3.9890 3.9890
angles: 60.00 60.00 60.00
Atoms (fractional coordinates):
Mn (0.2500, 0.2500, 0.2500)
Mn (0.7500, 0.7500, 0.7500)
P (0.0000, 0.0000, 0.0000)
Ru (0.5000, 0.5000, 0.5000)

## Properties
* SG: Fm-3m, No. 225
* E_form: 17 kJ/mol of formula units
* magnetic moment: 0.001 μB per atom


[1]
# Nb2TlFe

A geometry-optimized Nb2TlFe structure (GGA-PBE, the Open Quantum Materials Database).

Properties
Space-group type = F-43m (216)
ρ = 10.49 g/cm³
Total DFT energy (no corrections) = -7.232 eV/atom

The structure in CIF format:
```
data_Nb2TlFe
_cell_length_a 4.6392
_cell_length_b 4.6392
_cell_length_c 4.6392
_cell_angle_alpha 60.00
_cell_angle_beta 60.00
_cell_angle_gamma 60.00
_space_group_name_H-M_alt 'P 1'
_space_group_IT_number 1
loop_
_space_group_symop_operation_xyz
'x,y,z'
loop_
_atom_site_label
_atom_site_type_symbol
_atom_site_fract_x
_atom_site_fract_y
_atom_site_fract_z
Nb1 Nb 0.0000 0.0000 0.0000
Nb2 Nb 0.2500 0.2500 0.2500
Tl1 Tl 0.5000 0.5000 0.5000
Fe1 Fe 0.7500 0.7500 0.7500
```


[2]
# NbTlFe2

A geometry-optimized NbTlFe2 structure (GGA-PBE, the Open Quantum Materials Database).

Properties
Space-group type = F-43m (216)
ρ = 10.59 g/cm³
Total DFT energy (no corrections) = -6.797 eV/atom

The structure in CIF format:
```
data_NbTlFe2
_cell_length_a 4.4924
_cell_length_b 4.4924
_cell_length_c 4.4924
_cell_angle_alpha 60.00
_cell_angle_beta 60.00
_cell_angle_gamma 60.00
_space_group_name_H-M_alt 'P 1'
_space_group_IT_number 1
loop_
_space_group_symop_operation_xyz
'x,y,z'
loop_
_atom_site_label
_atom_site_type_symbol
_atom_site_fract_x
_atom_site_fract_y
_atom_site_fract_z
Nb1 Nb 0.0000 0.0000 0.0000
Tl1 Tl 0.7500 0.7500 0.7500
Fe1 Fe 0.2500 0.2500 0.2500
Fe2 Fe 0.5000 0.5000 0.5000
```


[3]
# NbTlFeW

A geometry-optimized NbTlFeW structure (GGA-PBE, the Open Quantum Materials Database).
~~~

Education: Faculty of Medicine, Central University of Barcelona, Spain (M.D.); Faculty of Medicine, Autonomous University of Barcelona, Spain (Ph.D.)
Training: Residency in neurology, Hospital de Sant Pau, Faculty of Medicine, Autonomous University of Barcelona; postdoctoral training at the Karolinska Institute (Stockholm)
Before coming to NIH: Tenured investigator, Spanish Research Council, Barcelona; guest scientist at the Karolinska Institute
Came to NIH: In October 2000
Selected professional activities: Guest professor in biochemistry and molecular biology at the University of Barcelona; adjunct associate professor in pharmacology and experimental therapeutics at the University of Maryland School of Medicine (Baltimore)
Outside interests: Opera singing; swimming; running; spending time with family
Research interests: We are interested in the role of receptor heteromers as targets for drug development in neuropsychiatric disorders and drug addiction. Receptor heteromers are higher-order molecular entities that have unique biochemical and functional properties that may be harnessed for therapeutic purposes. Our research deals with the discovery of heteromers of receptors that are localized in brain circuits involved in addictive behaviors and include metabotropic receptors (G-protein-coupled receptors) such as those for dopamine, glutamate, cannabinoid, and adenosine. We analyze the biochemical and pharmacological properties of these receptors at the cellular level as well as in vivo.
At the cellular level, we use mammalian cell lines transfected with the receptors to demonstrate receptor heteromerization. We then look for the unique receptor heteromer’s biochemical properties, which can be used as a “biochemical fingerprint” to identify it in the brain. We use in vivo models—including intracranial electrical stimulation, in vivo microdialysis, and functional magnetic resonance imaging—to evaluate the functional significance of receptor heteromers. The cellular and in vivo models complement each other and are the basis for finding receptor heteromer–selective drugs.
Senior Investigator, Laboratory of Mitochondrial Biology and Metabolism

### These materials data were left in the piece by mistake
____________
The following is a DFT calculation (GGA-PBE) of a relaxed LiAgB2Au crystal.

Output
Electronic total energy, eV per atom: -3.050

Unit cell a=4.127 b=5.289 c=4.127 alpha=90.00 beta=90.00 gamma=90.00
Element x y z (fractional)
B 0.500 0.000 0.000
B 0.000 0.000 0.500
Ag 0.000 0.000 0.000
Li 0.500 0.500 0.500
Au 0.000 0.500 0.000

----------

Arrangement i

Compound: CaSbPdI2
Source: the Alexandria database
Functional: PBE
Structure: optimized geometry

Cell lengths 5.9227, 5.9227, 6.2012 Å; angles 90.00, 90.00, 90.00 degrees
Closest atoms and distances in Å follow each position.
Space group P4/mmm (No. 123)
Inequivalent atoms, fractional coordinates:
Ca (0.0000, 0.0000, 0.0000)  4 I 2.96, 2 Sb 3.10
Sb (0.0000, 0.0000, 0.5000)  2 Ca 3.10
Pd (0.5000, 0.5000, 0.5000)  4 Sb 4.19, 8 I 4.29
I (0.0000, 0.5000, 0.0000)  2 Ca 2.96

Calculated density, kg/m³: 3985
Spin magnetization, μB/cell: 1.33



Arrangement ii

Compound: CaSbPdI2
Source: the Alexandria database
Functional: PBE
Structure: optimized geometry

Cell lengths 5.4962, 5.4962, 5.4176 Å; angles 90.00, 90.00, 90.00 degrees
Closest atoms and distances in Å follow each position.
Space group P4/mmm (No. 123)
Inequivalent atoms, fractional coordinates:
Ca (0.0000, 0.0000, 0.0000)  8 I 3.86, 4 Sb 3.89
Sb (0.5000, 0.5000, 0.0000)  2 Pd 2.71
Pd (0.5000, 0.5000, 0.5000)  2 Sb 2.71, 4 I 2.75
I (0.0000, 0.5000, 0.5000)  2 Pd 2.75

Calculated density, kg/m³: 5297
Spin magnetization, μB/cell: 0.71



Stability summary - winner: arrangement ii; margin: 530 meV per atom.



Arrangement i

Compound: CaSb2PdI
Source: the Alexandria database
Functional: PBE
Structure: optimized geometry

Cell lengths 5.2267, 5.2267, 5.7477 Å; angles 90.00, 90.00, 90.00 degrees
Closest atoms and distances in Å follow each position.
Space group P4/mmm (No. 123)
Inequivalent atoms, fractional coordinates:
Ca (0.0000, 0.0000, 0.0000)  4 I 3.70, 8 Sb 3.88
Sb (0.0000, 0.5000, 0.5000)  2 Pd 2.61
Pd (0.5000, 0.5000, 0.5000)  4 Sb 2.61, 2 I 2.87
I (0.5000, 0.5000, 0.0000)  2 Pd 2.87

Calculated density, kg/m³: 5467
Spin magnetization, μB/cell: 0.00



Arrangement ii

Compound: CaSb2PdI
Source: the Alexandria database
Functional: PBE
Structure: optimized geometry

Cell lengths 5.8215, 5.8215, 5.7590 Å; angles 90.00, 90.00, 90.00 degrees
Closest atoms and distances in Å follow each position.
Space group P4/mmm (No. 123)
Inequivalent atoms, fractional coordinates:
Ca (0.0000, 0.0000, 0.0000)  2 I 2.88, 4 Sb 2.91
Sb (0.0000, 0.5000, 0.0000)  2 Ca 2.91
Pd (0.5000, 0.5000, 0.5000)  8 Sb 4.09, 4 I 4.12
I (0.0000, 0.0000, 0.5000)  2 Ca 2.88

Calculated density, kg/m³: 4398
Spin magnetization, μB/cell: 0.00



Stability summary - winner: arrangement i; margin: 816 meV per atom.



Arrangement i

Compound: CaTe2PdI
Source: the Alexandria database
Functional: PBE
Structure: optimized geometry

Cell lengths 5.3661, 5.3661, 5.5136 Å; angles 90.00, 90.00, 90.00 degrees
Closest atoms and distances in Å follow each position.
Space group P4/mmm (No. 123)
____________

Education: Medical School: University of the Witwatersrand, South Africa (MBBCh, MSC in medicine); University of Cape Town, Medical School, South Africa (Ph.D. in molecular biology)
Training: Residency in internal medicine at Georgetown University Medical Center (Washington, D.C.); cardiology fellowship at Washington University Medical Center, Barnes Hospital (St Louis, Mo.)
Before coming to NIH: Senior lecturer at University College London Medical School; assistant professor at the University of Cape Town Medical School, South Africa
Came to NIH: In January 2003
Selected professional activities: Organized Keystone Mitochondrial Meeting and International Mitochondrial Meetings at NIH; established a cardiovascular disease–discovery clinical protocol enabling research into uncommon diseases with cardiovascular risk or manifestations
Outside interests: Spending time with family and friends; hiking; cooking; reading nonfiction literature; following European soccer
Research interests: My laboratory focuses on the biology of mitochondrial regulation in diabetes and cardiovascular disease. We are investigating the role of the mitochondrial acetylome (the complete set of acetylated mitochondrial proteins) as a nutrient and caloric-load sensing program in modulating mitochondrial homeostasis. In one of our studies, we are identifying and characterizing the counter-regulatory mitochondrial acetyltransferase molecular machinery of the protein sirtuin 3 (SIRT3). We recently showed that SIRT3-dependent deacetylation of mitochondrial proteins increases acetaminophen liver toxicity. We have also identified a principal component of the mitochondrial acetyltransferase program and are exploring its role in mitochondrial function and in caloric-excess-associated diseases.
We are also studying the protein Parkin, which plays a pivotal role in mitochondrial quality control and when mutated is linked to some cases of premature-onset Parkinson disease. We were surprised to find that Parkin stabilizes the fatty acid translocase CD36 and that Parkin deficiency protects against fatty liver and insulin resistance in mice. We are now exploring this interaction between lipid metabolism and the pathophysiology of Parkinson disease in patients with Parkin mutations who are participating in a study at the Clinical Center.
Senior Investigator; Chief, Developmental Glycobiology Section

Education: Cornell University, Ithaca, N.Y. (B.S. in biology); Stanford University, Stanford, Calif. (Ph.D. in genetics)
Before coming to NIH: Research assistant professor at the University of Rochester (Rochester, N.Y.)
Came to NIH: In 2001 as senior research fellow in NIDDK; in 2005, was appointed chief of NIDCR’s Developmental Glycobiology Unit
Selected professional activities: Federal liaison for the Society for Glycobiology; editorial board member for Glycobiology and the Journal of Biological Chemistry
Outside interests: Skiing; ice skating; traveling; seeing movies; enjoying relaxing rides home on I-270
Research interests: Cells of the body are decorated with a variety of sugars or more complex carbohydrates that serve many diverse functions. These molecules not only act as a protective barrier on the outside of the cell, but also play a role in communication and signaling events in many systems. Our group studies one type of sugar addition to proteins—mucin-type O-linked glycosylation, which is initiated by the polypeptide GalNAc transferase enzyme family. It is known that O-glycosylation of proteins is associated with several human diseases, but the mechanism is not fully understood. My lab is trying to determine how O-glycosylation influences basic biological processes in development and disease.
O-glycosyltransferases are components of the secretory apparatus and responsible for the modification of secreted and membrane-bound proteins. We hypothesize that the modifications play crucial roles in the secretion, localization, stability, and function of proteins and may influence cell adhesion, communication, morphology, and proliferation. Using Drosophila melanogaster, we have determined that at least five members of the multigene family are essential for fruit fly viability.
We have also discovered a role for one O-glycosyltransferase in the secretion of an extracellular matrix integrin ligand that influences matrix composition and cell adhesion during Drosophila development. We have also demonstrated that another O-glycosyltransferase can influence extracellular matrix composition during mammalian development, with resultant effects on cell proliferation and organ growth. Our studies highlight novel roles for O-glycosylation in conserved cell biological processes and may elucidate how changes in this modification contribute to disease susceptibility and progression.
Senior Investigator, Biostatistics Branch

Education: Fudan University in Shanghai, China (B.S. in mathematics); Beijing University of Posts and Telecommunications in Beijing, China (M.S. in applied mathematics); University of Pittsburgh (Ph.D. in biostatistics)
Training: Postdoctoral training in statistical genetics at Stanford University (Calif.)
Before coming to NIH: Statistical geneticist at Millennium Pharmaceuticals, Inc. (Cambridge, Mass.); research assistant professor of biostatistics at Washington University (St. Louis, Mo.)
Came to NIH: In November 2005
Outside interests: Swimming; playing basketball with his son
Research interests: My research specializes primarily in statistical genetics and addresses challenges in the design and analysis of modern genomic studies. Since beginning my biostatistics research at NCI, I have been the lead statistician for the design and analysis of a variety of genetic epidemiology studies, with a major emphasis on genome-wide association studies (GWAS) of cancer. GWAS—and other studies that exploit high-throughput technologies for measuring genes, metabolites, and other biological markers—are proving to be powerful research approaches. The complex information collected by those studies poses a wide range of statistical questions that have motivated my methodologic work.
I also developed an adaptive design framework, a multistage design that relies on accumulating data to modify aspects of a study without undermining its validity and integrity. The framework can be used to design a follow-up study for validating previous genetic association findings while accounting for the potential of “winner’s curse” (a genetic marker chosen for replication because of an extreme observed effect size that tends to be less extreme in the second study).
Recently, I proposed an efficient P-value evaluation method for resampling-based procedures that can reduce computing time by a factor ranging from 1/100 to 1/500,000. The method can be applied to a test statistic with an unusually large value that only occurs—or can be observed—less than one in a million times by chance (a common occurrence in genomic studies in which over a million markers are evaluated).
This page was last updated on Friday, April 29, 2022